
Your Monthly Worksheets

Here the entry breaks off for materials data.
........
No. 1
BeCuSN2 after structural relaxation, computed with PBE-GGA.

extended XYZ file:
```
5
Lattice="-2.632 1.137 -1.496 -1.740 -0.501 2.679 1.465 6.159 2.103" Properties=species:S:1:pos:R:3 pbc="T T T"
N -1.316 0.568 -0.748
Be 0.000 0.000 0.000
Cu -1.453 3.397 1.643
N -0.870 -0.251 1.340
S 0.732 3.080 1.052
```

Output
DOS at the Fermi energy in states/eV/atom: 0.78
Formation energy (no corrections) in meV/atom: 1016
Excess energy over the best structure of this formula in the dataset in kJ per mole of atoms: 0.0
E_tot in Ha/atom: -0.173

=====

No. 2
KPCl after structural relaxation, computed with PBE-GGA.

extended XYZ file:
```
3
Lattice="3.687 0.000 0.000 -1.843 3.193 0.000 0.000 0.000 6.993" Properties=species:S:1:pos:R:3 pbc="T T T"
Cl 0.000 0.000 0.083
K 1.843 1.064 2.100
P 0.000 2.129 4.809
```

Output
DOS at the Fermi energy in states/eV/atom: 0.46
Formation energy (no corrections) in meV/atom: 138
Excess energy over the best structure of this formula in the dataset in kJ per mole of atoms: 18.4
E_tot in Ha/atom: -0.097

=====

No. 3
SrTbAs2 after structural relaxation, computed with PBE-GGA.

extended XYZ file:
```
4
Lattice="-2.234 2.686 -2.407 -1.619 -1.309 -3.696 -7.369 -1.569 1.349" Properties=species:S:1:pos:R:3 pbc="T T T"
As -8.575 -0.197 -3.477
Sr -5.611 -0.096 -2.377
As -2.647 0.005 -1.277
Tb 0.000 0.000 0.000
```

Output
DOS at the Fermi energy in states/eV/atom: 0.90
Excess energy over the best structure of this formula in the dataset in kJ per mole of atoms: 0.0
E_form in eV/atom: -1.18
E_tot in Ha/atom: -0.187

=====

No. 4
CuAsWBr2 after structural relaxation, computed with PBE-GGA.

extended XYZ file:
```
5
Lattice="4.813 0.000 0.000 0.000 4.813 0.000 0.000 0.000 4.977" Properties=species:S:1:pos:R:3 pbc="T T T"
W 2.407 2.407 2.489
Br 0.000 2.407 0.000
Br 2.407 0.000 0.000
As 0.000 0.000 2.489
Cu 0.000 0.000 0.000
```

Output
DOS at the Fermi energy in states/eV/atom: 1.31
Formation energy (no corrections) in meV/atom: 1283
Excess energy over the best structure of this formula in the dataset in kJ per mole of atoms: 47.8
E_tot in Ha/atom: -0.137

=====

No. 5
CaSiHgI2 after structural relaxation, computed with PBE-GGA.

extended XYZ file:
```
5
Lattice="-4.993 3.559 1.184 -2.386 -2.096 -3.759 -2.214 -4.388 3.853" Properties=species:S:1:pos:R:3 pbc="T T T"
I -2.497 1.780 0.592
Hg 0.000 0.000 0.000
Ca -4.797 -1.463 0.639
Si -1.193 -1.048 -1.879
I -1.107 -2.194 1.926
```

Output
DOS at the Fermi energy in states/eV/atom: 0.64
Formation energy (no corrections) in meV/atom: 136
........

Use these worksheets to track your household and for one month. For each , jot down what you estimate you spend in the “Estimate” column, then write down what you actually spent in the ”Actual” column. Next, calculate the difference between your estimated and actual expenses in the “Difference” column. Finally, determine if the expense is a “Must-Have” or “Want.”

On the final page, calculate your income by subtracting your monthly expenses from your monthly income.

Make sure you cover all expenses. You may find some of your expenses vary from month to month, so you may want to track your spending for three months.

Income Actual Monthly pay (after taxes) Alimony or child support Budget for the month of: income Other income: Other income: Total Monthly Income

Expenses Estimate Actual Difference Must-Have or Want?

Home Mortgage/rent Second mortgage Property taxes Homeowner’s insurance Association dues Repair/maintenance Other: Total Home Expenses

Utilities Electric Gas/oil Water/sewer Phone (landline) Phone (cell/family plan) Other: Total Utilities Expenses

Food/Household Items Groceries/household items Eating out (meals, snacks, coffee) Other: Total Food/Household Expenses

CalSTRS Save for Your Future • 11 Your Monthly Budget Worksheets Expenses Estimate Actual Difference Must-Have or Want?

Transportation Car payment 1 Car payment 2 Gas Car insurance Repairs/maintenance Other: Total Transportation Expenses

Health/Grooming Health insurance Prescription medication Gym/health club Grooming (hair, nails) Other: Total Health/Grooming Expenses

Family/Pets Childcare/babysitting Child support Alimony Allowances Tuition and fees Pet food, supplies, veterinarian Other: Total Family/Pet Expenses

Entertainment/Recreation Cable TV, Internet, streaming services Movies, concerts, other events CDs, DVDs Newspapers, magazines, books Clubs, sports, hobbies Vacations Other: Total Entertainment/Recreation Expenses

12 • CalSTRS Save for Your Future Your Monthly Budget Worksheets Expenses Estimate Actual Difference Must-Have or Want?

Debt Credit card 1 Credit card 2 Credit card 3 Student loan 1 Student loan 2 Personal loan Other: Other: Other: Other: Total Debt Expenses

Expenses: Savings/Investing Emergency savings College/education savings Retirement (403(b), 457(b), IRA) Short-term goal 1 Short-term goal 2 Short-term goal 3 Long-term goal 1 Long-term goal 2 Long-term goal 3 Other: Total Savings/Investing Expenses

Expenses: Miscellaneous Gifts (family, friends) Donations (church, charities) Other: Total Miscellaneous Expenses N/A

Now that you have a completed budget, you have a realistic idea of your monthly income and expenses. To figure out your , simply subtract your monthly expenses from your monthly income. - = Monthly Income Monthly Expenses Net Income

If your monthly expenses exceed your monthly income, look for ways to cut back on your expenses. If your “Must-Haves” exceed your monthly income, then you’ll need to find ways to supplement your income with part-time work or other resources. Consider cutting back or cutting out items you list as “Wants.”

CalSTRS Save for Your Future • 13